[Photography by Steve Brown]
In April I had the pleasure of visiting a mysterious little garden of edible delights—known as La Huerta Historic Gardens—with veteran teacher Kathy Escobar’s third-grade class from Adams School. The students were on a field trip to learn about the early history of food in their community.
Unrelated to this article: molecular data:
- - -
{
  "formula": "C31H61BrF5NO6SSi",
  "method": "ωB97M-V with the def2-TZVPD basis set",
  "mol_weight_g_mol": 778.9,
  "lumo_ev": 0.627,
  "homo_energy_ev": -8.248,
  "charge": 0,
  "e_tot_ev": -149254.320,
  "largest_force_ev_per_a": 1.14,
  "symbols": ["C", "N", "C", "Si", "S", "Br", "C", "C", "C", "C", "F", "F", "C", "F", "F", "F", "H", "H", "H", "H", "H", "H", "H", "H", "H", "H", "H", "H", "H", "C", "C", "C", "O", "C", "H", "H", "H", "H", "H", "H", "H", "H", "C", "C", "C", "O", "C", "H", "H", "H", "H", "H", "H", "H", "H", "C", "C", "C", "O", "C", "H", "H", "H", "H", "H", "H", "H", "H", "C", "C", "C", "O", "C", "H", "H", "H", "H", "H", "H", "H", "H", "C", "C", "C", "O", "C", "H", "H", "H", "H", "H", "H", "H", "H", "C", "C", "C", "O", "C", "H", "H", "H", "H", "H", "H", "H", "H"],
- - -
Most of the plants in the garden, which is tucked in by the side of the Santa Barbara Mission, date back to the Mission Era in California (1769–1834), a time when the missions were self-sufficient agriculture outposts, belonging to Spain. La Huerta (Spanish for “the orchard”) is more than another lovely Mediterranean garden. It is, as described by Jerry Sortomme, the La Huerta project manager (pictured above), “a living museum, a component of the old mission’s museum.” La Huerta is a collection of heritage, heirloom and historic plant materials.
Retired master teacher Judy Sims, who volunteers at La Huerta, and Santa Barbara Mission Museum Director Tina Foss have developed an innovative educational program at La Huerta. The program is supported by a grant from the Sisters of St. Francis of Penance and Christian Charity, which pays for busing the students and any materials needed.
In 2010, La Huerta connected with the s’Cool Gardens program to offer a field trip experience to public elementary students. The tours are masterfully designed, leading the students through four “station rotations” at the garden, each directed by one of La Huerta’s volunteer garden docents. I followed a group of students moving from one section of the garden to another, hearing squeals of excitement as their food history came alive.
The Chumash Garden
The group’s first stop was in the Chumash Exhibit garden, a unique annex to La Huerta, spotlighting native regional plants used by the indigenous Chumash people of the Santa Barbara area. The children sat under a rare Channel Islands oak tree with La Huerta garden docent Maria Cabrera as she read stories about many plants used by the Chumash for their everyday lives: for food, for hunting and fishing, for their housing and clothing, for making tools and weapons and even for recreation and fun. In the Chumash Exhibit garden, students are also taught the importance of the role of the Chumash in introducing agriculture to the California Missions. As Tina Foss told me later, “There were, after all, only a few padres at each of the Missions in the early years, so it was the Chumash who planted the seeds brought in by ships and tended the gardens. It was the Chumash who made the gardens bloom.” At the end of this segment, each student was given a small abalone shell necklace, as a memento, which they all proudly wore.
The Mission Era
At the next station students learned about the plants grown for food at La Huerta during the Mission Era. Docents had displayed an array of freshly picked seasonal fruits and vegetables. Sweet dessert bananas, Mission oranges, pea pods ready to be shelled, yellow guavas next to jars of home-made guava jam, bunches of bright orange loquats and even chunks of sugar cane were arranged on several tables for students to see. Volunteer Laurie Koc explained that children in the Mission Era didn’t have stores filled with sugary snacks, but they did snack on fruit and vegetables from the garden and they especially loved chewing on sugar cane.
Seed Saving
After the plant tour, our group moved to a table in the shade where Judy Sims was teaching about seeds and seed saving. Each student was given an envelope for the seeds they were to collect, labeled “Seeds grown by volunteers at La Huerta Historic Gardens.” Judy began by showing them colorful dried corn on the cob. “Seeds are alive … they are embryos, like a promise of new life,” she told them, to which a student exclaimed “You mean corn is like a seed?” Delighted at the student’s aha! moment, she answered, “Yes, they are seeds! And you can take them home and plant them in your garden!”
She continued to show them other seeds grown at La Huerta they would be taking home: Peruvian popcorn, broom corn, Christmas lima beans, gourds, wheat and puffs of cotton balls with tiny black seeds embedded inside. As she displayed each seed, and explained the uses of each plant it would grow, the students dropped the seeds into their envelopes.
Gardening and Composting
The fourth station, all about gardening and composting, was clearly a favorite. What child doesn’t love to dig in the dirt looking for bugs! Volunteer Jane Fleischman explained the cycle of soil composition and the importance of insects and worms in breaking down the plant material. “Look it! There’s a fat one right there!” exclaimed one of the third graders as a worm crawled out from a pile of rich soil. “And look at that fat
roly-poly… don’t touch it,” he shouts. Jane then has the students dig some of the rich compost to use for planting several heirloom Coosa squashes they have started from seeds grown at La Huerta, which they watered using ladles made from gourds also grown at the garden.
Finally, several hours after the tour began, the happy students were gathered in a rustic amphitheater seated on huge rounds from the trunk of an ancient Monterey pine that had fallen several years before. When Judy Sims asked what the students had liked most about the field trip, one girl answered enthusiastically “I liked everything!” which seemed to say it all.
As Judy Sims summed up, “La Huerta is a good example of project-based learning, with a lot of student inquiry and hands-on activities—all targeted to appropriate learning standards and objectives in their school curriculum, and with opportunity to learn about food and sustainability.” Which I think means, children learn best about their food history when they are allowed to dig in the dirt.
Visit this page for more information about volunteering at the Santa Barbara Mission La Huerta Garden.